
University of , 14/01004/ADJ , Roosevelt Drive, Oxford

Ward: Outside of Area District Councillor: N/A

Unrelated to this piece: records of crystals =
........
1.
A relaxed NaGdNiS3 crystal, computed with PBE.

Computed properties:
magnetization: 0.20 μB/atom
distance to the lowest polymorph of the same formula: 0 meV per atom

Cell: 8.0136 3.8885 9.0425 Å, 90.00 102.40 90.00°
Site moments in Bohr magnetons follow the coordinates.
Positions (direct):
Gd 0.1720 0.2500 0.1506  0.01
Gd 0.8280 0.7500 0.8494  0.01
Na 0.6849 0.2500 0.2001  0.00
Na 0.3151 0.7500 0.7999  0.00
Ni 0.4206 0.7500 0.4103  0.73
Ni 0.5794 0.2500 0.5897  0.73
S 0.4129 0.7500 0.1556  0.10
S 0.9307 0.7500 0.1590  0.02
S 0.3080 0.2500 0.4688  0.17
S 0.6920 0.7500 0.5312  0.17
S 0.0693 0.2500 0.8410  0.02
S 0.5871 0.2500 0.8444  0.10

2.
A relaxed GdZrCSe crystal, computed with PBE.

Computed properties:
magnetization: 0.00 μB/atom
distance to the lowest polymorph of the same formula: 14 meV per atom

Cell: 3.6114 3.6114 13.1485 Å, 90.00 90.00 120.00°
Positions (direct):
C 0.0000 0.0000 0.2690
C 0.0000 0.0000 0.7310
Gd 0.3333 0.6667 0.1553
Gd 0.3333 0.6667 0.8447
Se 0.6667 0.3333 0.0000
Se 0.3333 0.6667 0.5000
Zr 0.6667 0.3333 0.3533
Zr 0.6667 0.3333 0.6467

3.
A relaxed BaCuNiTe3 crystal, computed with PBE.

Computed properties:
magnetization: 0.00 μB/atom

Cell: 7.2000 7.2000 10.8353 Å, 90.00 90.00 145.68°
Positions (direct):
Ba 0.7670 0.2330 0.2500
Ba 0.2330 0.7670 0.7500
Cu 0.4562 0.5438 0.2500
Cu 0.5438 0.4562 0.7500
Ni 0.0000 0.0000 0.0000
Ni 0.0000 0.0000 0.5000
Te 0.3785 0.6215 0.0275
Te 0.0597 0.9403 0.2500
Te 0.3785 0.6215 0.4725
Te 0.6215 0.3785 0.5275
Te 0.9403 0.0597 0.7500
Te 0.6215 0.3785 0.9725

4.
A relaxed DyScFe crystal, computed with PBE.

Computed properties:
magnetization: 0.41 μB/atom
distance to the lowest polymorph of the same formula: 818 meV per atom
calculated formation energy: 287 kJ/mol of formula units

Cell: 4.5871 4.5871 4.5871 Å, 60.00 60.00 60.00°
Site moments in Bohr magnetons follow the coordinates.
Positions (direct):
Dy 0.0000 0.0000 0.0000  -0.43
Fe 0.2500 0.2500 0.2500  2.11
Sc 0.7500 0.7500 0.7500  -0.36

5.
A relaxed SiAg2PbS4 crystal, computed with PBE.

Cell: 10.1554 6.2191 6.2191 Å, 113.16 90.00 90.00°
Positions (direct):
Ag 0.0995 0.5899 0.3560
Ag 0.4005 0.5899 0.3560
Ag 0.5995 0.3560 0.5899
Ag 0.9005 0.3560 0.5899
Pb 0.0000 0.9882 0.9882
Pb 0.5000 0.9882 0.9882
S 0.7500 0.3629 0.2721
S 0.2500 0.2721 0.3629
S 0.5755 0.9023 0.5055
S 0.9245 0.9023 0.5055
S 0.2500 0.9849 0.7375
S 0.0755 0.5055 0.9023
S 0.4245 0.5055 0.9023
S 0.7500 0.7375 0.9849
Si 0.7500 0.7255 0.3236
Si 0.2500 0.3236 0.7255

6.
A relaxed LaThTa crystal, computed with PBE.

Computed properties:
magnetization: 0.00 μB/atom
calculated formation energy: 335 kJ/mol of formula units

Cell: 5.1308 5.1308 5.1308 Å, 60.00 60.00 60.00°
Positions (direct):
La 0.0000 0.0000 0.0000
Ta 0.5000 0.5000 0.5000
Th 0.7500 0.7500 0.7500

7.
A relaxed Ag2HgGeSe2S2 crystal, computed with PBE.

Computed properties:
distance to the lowest polymorph of the same formula: 2 meV per atom

Cell: 7.2427 7.1989 5.8995 Å, 66.28 65.50 48.22°
........

Case Officer: Stuart Howden Recommendation: No objections

Applicant: The Chancellor, Masters and Scholars of

Application Description: Erection of medical research building (Big Data Institute) on level 3 plus basement and plant enclosure at roof level, together with landscaping and ancillary works. (Part reserved matters of outline planning permission 12/02072/OUT relating to plot B5, seeking approval of appearance, landscaping scale and layout).

Committee Referral: Major application notification within adjacent Authority

1. Introduction

1.1 Oxford City Council is in receipt of an application for the development described above. It has consulted Cherwell District Council as the two authorities share a border. This authority has an opportunity to comment on the proposals in the capacity of a consultee.

2. Application Publicity

2.1 The application has not been advertised by Cherwell as it is acting in its capacity of a consultee. Oxford City Council will conduct the advertisement process.

3. Consultations

3.1 No consultations have been carried out.

4. Relevant National and Local Policy and Guidance

4.1 Development Plan Policy

Oxford City Council will assess and determine the application in accordance with its own Development Plan Policies.

4.2 Other Material Policy and Guidance

National Planning Policy Framework

Crystal structures, as found in the file >
<<<
No. 1
# RbPHRuC

Crystalline RbPHRuC at its relaxed geometry (PBE-GGA, the Alexandria database).

Geometry as CIF:
```
data_RbPHRuC
_cell_length_a 5.2534
_cell_length_b 5.2534
_cell_length_c 6.4396
_cell_angle_alpha 114.61
_cell_angle_beta 114.61
_cell_angle_gamma 33.27
_space_group_name_H-M_alt 'P 1'
_space_group_IT_number 1
_space_group_name_Hall 'P 1'
loop_
_atom_site_label
_atom_site_fract_x
_atom_site_fract_y
_atom_site_fract_z
Rb1 0.0000 0.0000 0.0000
P1 0.3795 0.3795 0.4527
H1 0.1680 0.1680 0.7153
Ru1 0.6219 0.6219 0.5537
C1 0.7752 0.7752 0.4388
```

Results
ρ: 4.36 Mg/m³
Crystal system: monoclinic
Total energy: -5.33 eV per atom
Density of states at the Fermi level: 0.6747 states/eV per atom

No. 2
# Sm5GeBi2

Crystalline Sm5GeBi2 at its relaxed geometry (PBE-GGA, the Alexandria database).

Geometry as CIF:
```
data_Sm5GeBi2
_cell_length_a 7.1601
_cell_length_b 7.1601
_cell_length_c 14.3421
_cell_angle_alpha 90.00
_cell_angle_beta 90.00
_cell_angle_gamma 128.97
_space_group_name_H-M_alt 'P 1'
_space_group_IT_number 1
_space_group_name_Hall 'P 1'
loop_
_atom_site_label
_atom_site_fract_x
_atom_site_fract_y
_atom_site_fract_z
Sm1 0.0569 0.9431 0.6194
Sm2 0.0569 0.9431 0.8806
Sm3 0.3174 0.6826 0.2500
Sm4 0.3677 0.6323 0.5894
Sm5 0.3677 0.6323 0.9106
Sm6 0.6323 0.3677 0.0894
Sm7 0.6323 0.3677 0.4106
Sm8 0.6826 0.3174 0.7500
Sm9 0.9431 0.0569 0.1194
Sm10 0.9431 0.0569 0.3806
Ge1 0.2261 0.7739 0.7500
Ge2 0.7739 0.2261 0.2500
Bi1 0.1842 0.8158 0.0692
Bi2 0.1842 0.8158 0.4308
Bi3 0.8158 0.1842 0.5692
Bi4 0.8158 0.1842 0.9308
```

Results
ρ: 7.22 Mg/m³
Calculated formation energy: -0.375 eV/atom
Crystal system: orthorhombic
Total energy: -4.87 eV per atom
Density of states at the Fermi level: 1.1568 states/eV per atom

No. 3
# La6Y3Er

Crystalline La6Y3Er at its relaxed geometry (PBE-GGA, the Alexandria database).

Geometry as CIF:
```
data_La6Y3Er
_cell_length_a 9.1042
_cell_length_b 9.1042
_cell_length_c 9.1042
_cell_angle_alpha 80.05
_cell_angle_beta 80.05
_cell_angle_gamma 80.05
_space_group_name_H-M_alt 'P 1'
_space_group_IT_number 1
_space_group_name_Hall 'P 1'
loop_
_atom_site_label
_atom_site_fract_x
_atom_site_fract_y
_atom_site_fract_z
La1 0.0362 0.0378 0.3325
La2 0.0378 0.3325 0.0362
La3 0.2104 0.5966 0.2109
La4 0.2109 0.2104 0.5966
La5 0.3325 0.0362 0.0378
La6 0.4034 0.7891 0.7896
La7 0.5966 0.2109 0.2104
La8 0.6675 0.9638 0.9622
La9 0.7891 0.7896 0.4034
La10 0.7896 0.4034 0.7891
La11 0.9622 0.6675 0.9638
La12 0.9638 0.9622 0.6675
Y1 0.1324 0.6023 0.6049
Y2 0.3951 0.8676 0.3977
Y3 0.3977 0.3951 0.8676
Y4 0.6023 0.6049 0.1324
Y5 0.6049 0.1324 0.6023
Y6 0.8676 0.3977 0.3951
Er1 0.0000 0.0000 0.0000
Er2 0.5000 0.5000 0.5000
```

Results
ρ: 5.81 Mg/m³
Calculated formation energy: 0.232 eV/atom
Crystal system: trigonal
Total energy: -5.12 eV per atom
Density of states at the Fermi level: 1.5963 states/eV per atom

No. 4
# Y2RhW

Crystalline Y2RhW at its relaxed geometry (PBE-GGA, the Alexandria database).

Geometry as CIF:
```
data_Y2RhW
>>>
Back to the piece >

Planning Practice Guidance (2014)

5. Appraisal

5.1 The key issues for consideration in this consultation are the impacts that the proposal may have within the Cherwell District.

5.2 The Council has no policies that directly relate to developments outside of the district. It is therefore considered appropriate for the application to be considered against the City Council’s own development plan policies and Government guidance contained within the National Planning Policy Framework.

5.3 This Reserved Matters application sits within the context of the Masterplan that was approved in 2013.

5.4 The site lies within Oxford University’s Old Road Campus, which is an established university campus with building heights ranging from one to four storeys. The site is located to the north of Roosevelt Drive, to the South of Old Road and to the west of Churchill Drive within Oxford. The four storey building is proposed to replace another four storey structure on the site.

5.5 The site is approximately 3 miles away from the nearest part of the Cherwell District Boundary. Whilst the Council has not carried out an appraisal of the visual impact and as a result it cannot be confirmed that the site will not be visible from within Cherwell District Council boundaries. However, it is considered that the building would be read against the other four buildings within the Oxford University Old Road Campus. Given the above, the separation distances involved and the scale of the proposed development it is considered unlikely that the proposal will have an invasive impact on the Cherwell District.

_Here the article breaks off for materials data_
Density functional theory data (PBE) for crystalline Ba8Pt3Au2 at its relaxed geometry.

Computed properties:
**Space group**: No. 12
**Spin magnetization**: 0.0 μB/f.u.
**Uncorrected energy**: -3.71 eV/atom
**Crystal system**: monoclinic

Cell lengths 9.6363, 9.6363, 7.8616 Å; angles 107.08, 107.08, 56.58 degrees
Closest atoms and distances in Å follow each position.
Atoms (fractional coordinates):
Ba 0.1077 0.1077 0.4160  3 Pt 3.17, 1 Au 3.42
Ba 0.1219 0.6473 0.0914  2 Pt 3.16, 2 Au 3.41
Ba 0.3527 0.8781 0.9086  2 Pt 3.16, 2 Au 3.41
Ba 0.3894 0.3894 0.5878  2 Pt 3.13, 1 Au 3.45
Ba 0.6106 0.6106 0.4122  2 Pt 3.13, 1 Au 3.45
Ba 0.6473 0.1219 0.0914  2 Pt 3.16, 2 Au 3.41
Ba 0.8781 0.3527 0.9086  2 Pt 3.16, 2 Au 3.41
Ba 0.8923 0.8923 0.5840  3 Pt 3.17, 1 Au 3.42
Pt 0.0000 0.0000 0.0000  6 Ba 3.16-3.17
Pt 0.2561 0.7439 0.5000  6 Ba 3.13-3.17
Pt 0.7439 0.2561 0.5000  6 Ba 3.13-3.17
Au 0.2558 0.2558 0.8357  6 Ba 3.41-3.45
Au 0.7442 0.7442 0.1643  6 Ba 3.41-3.45

***

Density functional theory data (PBE) for crystalline Ba16Pt3Au5 at its relaxed geometry.

Computed properties:
**Space group**: No. 8
**Spin magnetization**: 0.0 μB/f.u.
**Uncorrected energy**: -3.29 eV/atom
**Crystal system**: monoclinic

Cell lengths 9.4220, 9.4220, 15.2519 Å; angles 90.10, 90.10, 59.76 degrees
Closest atoms and distances in Å follow each position.
Atoms (fractional coordinates):
Ba 0.0000 0.0000 0.0000  1 Pt 3.15, 2 Au 3.28
Ba 0.0004 0.0004 0.4974  2 Pt 3.17, 1 Au 3.30
Ba 0.0135 0.4756 0.0096  1 Pt 3.17, 2 Au 3.31-3.33
Ba 0.1576 0.1576 0.2737  2 Pt 3.19, 1 Au 3.37
Ba 0.1668 0.6713 0.2687  1 Pt 3.16, 2 Au 3.29-3.34
Ba 0.3197 0.3197 0.7696  1 Pt 3.15, 2 Au 3.28
Ba 0.3219 0.8391 0.7694  1 Pt 3.18, 2 Au 3.31-3.33
Ba 0.4756 0.0135 0.0096  1 Pt 3.17, 2 Au 3.31-3.33
Ba 0.4835 0.4835 0.0129  3 Au 3.27-3.29
Ba 0.4959 0.9728 0.5077  1 Pt 3.15, 2 Au 3.29-3.32
Ba 0.5050 0.5050 0.5049  2 Pt 3.19, 1 Au 3.34
Ba 0.6554 0.6554 0.2731  2 Pt 3.17, 1 Au 3.29
Ba 0.6713 0.1668 0.2687  1 Pt 3.16, 2 Au 3.29-3.34
Ba 0.8316 0.8316 0.7620  3 Au 3.27-3.30
Ba 0.8391 0.3219 0.7694  1 Pt 3.18, 2 Au 3.31-3.33
Ba 0.9728 0.4959 0.5077  1 Pt 3.15, 2 Au 3.29-3.32
Pt 0.1612 0.1612 0.8873  6 Ba 3.15-3.18
Pt 0.3293 0.8274 0.3865  6 Ba 3.15-3.19
Pt 0.8274 0.3293 0.3865  6 Ba 3.15-3.19
Au 0.1609 0.6589 0.8853  6 Ba 3.27-3.31
Au 0.3275 0.3275 0.1493  6 Ba 3.29-3.37
Au 0.6589 0.1609 0.8853  6 Ba 3.27-3.31
Au 0.6605 0.6605 0.6473  6 Ba 3.30-3.34
Au 0.8277 0.8277 0.3854  6 Ba 3.29-3.30

***

Density functional theory data (PBE) for crystalline Ba4Pt2Au5 at its relaxed geometry.

Computed properties:
**Space group**: No. 10
**Spin magnetization**: 0.0 μB/f.u.
**Uncorrected energy**: -3.98 eV/atom
**Crystal system**: monoclinic

Cell lengths 7.8233, 4.4079, 9.4907 Å; angles 90.00, 93.47, 90.00 degrees
Closest atoms and distances in Å follow each position.
Atoms (fractional coordinates):
Ba 0.2143 0.0000 0.1433  8 Au 3.36-3.68, 2 Pt 3.37
Ba 0.2516 0.0000 0.6133  4 Pt 3.25-3.50, 6 Au 3.40-3.50

5.6 It is considered therefore that this authority should respond with no objections to the proposed development.

6. Recommendation

No objections